In my last post, emphasis was laid on CULTURE,Its definition, importance and contributions.
It was defined as total way of life of people ranging from the way you as human being relate with people within and outside your locality,with emphasis been laid on helping and showing love to each other to foster unity,enhance peace and to make life fascinating and interesting for ourselves.
pix @my phone.
culture also entails modes and ways of dressing pertaining to certain people,it also does not left out how we and what type of food we consume.
Inserted here: calculated crystals:
=====
Here is crystalline V2CdC at its relaxed geometry from Alexandria. Energies are from GGA-PBE.

POSCAR file:
```
V2CdC
1.0
-1.2210 2.6914 0.4336
-2.3680 0.2938 1.7969
3.0386 2.0448 6.1529
C V Cd
1 2 1
Direct
0.0000 0.0000 0.0000
0.2828 0.2828 0.1516
0.7172 0.7172 0.8484
0.5000 0.5000 0.5000
```

Calculated values
**M_tot**: 0.000 μB/atom
**Calculated density**: 6.998 g cm⁻³
**Electronic total energy**: -7.381 eV per atom

***

Here is crystalline VCd3C at its relaxed geometry from Alexandria. Energies are from GGA-PBE.

POSCAR file:
```
VCd3C
1.0
4.6277 0.0000 0.0000
0.0000 4.6277 0.0000
0.0000 0.0000 4.6277
C Cd V
1 3 1
Direct
0.0000 0.0000 0.0000
0.0000 0.5000 0.0000
0.0000 0.0000 0.5000
0.5000 0.0000 0.0000
0.5000 0.5000 0.5000
```

Calculated values
**M_tot**: 0.834 μB/atom
**Calculated density**: 6.705 g cm⁻³
**Energy above the lowest structure with this stoichiometry**: 0 meV/atom
**Electronic total energy**: -3.050 eV per atom
=====
Yoruba people who belong solely to South western part of Nigeria are noted for dressing to cover their entire body.The men belonging to this ethnic group are noted for dressing to cover their entirelity not to talk of women who solely dislike revealing their nakedness.
Various attire usually used for sewing in a typical Yoruba ethnic group are"adire,sanyan,aso oke"etc
Yoruba men are noted for a flowing wide sleeved robe worn called "AGBADA",.
This has a different name depending on the ethnic group involved, to HAUSA people, northern part of Nigeria, they called it "BABBAN RIGA".
It is called grand boubou in various francophone West African countries and the English term is GOWN..
This attire am talking about is sew differently based on position in a typical Yoruba ethnic group within south western part,Nigeria.
To the kings,certain materials are used to sew this glorious and important attire.Example of such material is "ASO ARAN".This is a shinning,britlle material.. It is quite expensive and not always affordable by commoners..
Agbada when worn in Yoruba land signify nobility and how important you are to the community.. It is always and much more appreciated when worn on occasion like wedding between the yoruba's as shown in the picture below..
pix @ google.com
It is also worn during coronation and cheiftain ceremony for kings,chiefs etc as shown below
Dressing in Agbada is a great aspect of my own culture as am proudly a Yoruba boy....
Females of this noble ethnic group dresses in what we called "IRO AND BUBA".Usually worn to occasions and functions.
It should be noted that you shall be addressed just exactly the way you are dressed.. Learn how to dress responsibly.
In my journey so far, have never seen a culture that support walking half naked or let me rather say nakedly..
Subsequent post will still address another aspect of CULTURE pertaining to the author.. Do have a wonderful moments. Thanks for reading...
Am donkenny1992.
God bless me!
God bless you!!
God bless steemit community!!!
hi kenny! :) thanks for teaching me something. that is one nice outfit u wear, too!
Thanks so much boss, always my pleasure. I appreciate.
Few days ago, one fellow steemin was repeatedly asking me (in discord) if I were an Yoruba or not! Initially I thought it might be some spelling mistake. But later came to know that it is an ethnic group in Nigeria.
Today got more idea about it. Thanks to you.
That friend, from my name, assumed me as an Yoruba. Tell me, how would be looked like wearing a "AGBADA" dress?
By the way, nice way to present your culture to the world. Keep up.

Smiles, and I believe you should be able to tease him or her now with the little you have learnt from this post. I appreciate your attention and audience doc.. Seriously, AGBADA will look nice on you...
This is a fantastic post, @donkenny! I love learning about other cultures! Very well done!
Wow, thanks wonderful friend. I always appreciate your encouragement...thanks so much
All the peoples of the world have their beautiful customs.
Nigeria has very colorful costumes.
Congratulations @donkenny1992.
It is like that ma'am, i hope i can know something partaining to venezuela culture from you someday...
Good post man
Thanks man, i appreciate
good work
Thanks friend, appreciate your contributions....
Thank you for taking time out of your day to teach about your culture, I hope to learn much more from you in the future! Have a blessed day!!!
@charisma777, thanks for the encouragement. Promise never to let you down....anticipate another part of my culture explanation from me
So proud of ma culture. Thanks for the upvote
Thanks to you mzajoke, i appreciate...